TRANSCRIPT: McCain: Obama's Plan Could 'Reverse' Iraq Progress

Sen. Jon McCain said Obama was wrong about Iraq troop surge strategy.

July 23, 2008 — -- The following is a transcript of a taped interview between Sen. John McCain, R-Ariz., and ABC News' David Wright.

Watch part of ABC's interview with McCain tonight on ABC's World News with Charles Gibson at 6:30 pm ET.

WRIGHT: Senator, I want to start by asking you about an extraordinary statement you just made in that town hall meeting, something you also said in New Hampshire yesterday, talking about how you would rather lose a political campaign than lose a war, but then you go on to say, "It seems to me that Senator Obama would rather lose a war in order to win a political campaign."

That's pretty strong language. Do you really think he's that craven?

MCCAIN: I think that it's very clear that Senator Obama has refused to recognize that the strategy in Iraq called the surge has succeeded and that America has succeeded in Iraq and will come home with victory and with honor. If he would've had his way, they'd have been out last March. And the fact is...

WRIGHT: So you what you're essentially saying there is that it's all about personal ambition for him, and not about what he honestly thinks is right for the country?

MCCAIN: I do not believe that any objective observer can conclude that the surge did not work and is not succeeding. It's not possible. The facts on the ground are very clear.

And the future of young Americans are at stake here, because if we do what he wants to do -- and that's withdraw, which the chairman of the Joint Chiefs of Staff, on a certain date, has said is very dangerous -- and even, in Senator Obama's own admission, we could have to go back, then that's dangerous for the future of America. And he should know better if he wants to be commander in chief and certainly behave differently, as far as this -- our presence and our strategy in Iraq.

It has succeeded. And it is -- and we are winning this war. And we will come home with victory and with honor.

WRIGHT: But it sometimes seems, as an outside observer, that both of you guys sometimes get stuck in the past, Senator Obama kind of stuck in 2003 and whether the war was a good idea in the first place, and you kind of seem stuck sometimes in 2007, whether the surge was the right strategy. Shouldn't this debate really be about the future and where we go from here?

MCCAIN: Oh, you're exactly right. And Senator Obama still wants to set a date for withdrawal. And he still -- regardless of conditions on the ground, which the chairman of the Joint Chiefs has [inaudible] very dangerous.

General Petraeus, who has been in charge of this incredible, incredible reversal of fortunes in Iraq, has said that it would be a dangerous course. So it is about the future. It's about...

MCCAIN: It is very much about the fact whether we come home with victory and honor and not have to go back or whether we pursue the dangerous course as described by the observers, and fail, and have to go back again. So it's all about the future. And the future, in my view, we have succeeded, but it's still fragile. Senator Obama's policy...

MCCAIN: ... could easily reverse -- could easily reverse all the hard-fought gains we made.

WRIGHT: Prime Minister Maliki seems to be asking for a timetable and other members, senior members of his government saying that there should be no permanent or indefinite U.S. bases, both ideas pillars ofyour strategy. Is it time for you to recalibrate?

MCCAIN: Well, actually, Prime Minister Maliki and the others have always said it's condition-based. Senator Obama has said no conditions, just set a timetable for coming home. And the chairman of the Joint Chiefs of Staff, the highest-ranking military officer, and General Petraeus have all said it has to be condition-based.

We'll reach an agreement with the Iraqis. They're interested in their national security. But it will be based on conditions on the ground.

MCCAIN: But the point is that we are responsible for our records. I was right; Senator Obama was wrong. So, therefore, I think that I have more credibility on what the future should be, as opposed to SenatorObama, who, if he would've had his way, we would be very likely be involved in a wider war today if we'd have done what he wanted to do.

WRIGHT: You yourself have said that we should leave when the Iraqis ask us to.


WRIGHT: Are we not nearing that point?

MCCAIN: No. No, we're not. They said we are going to negotiate. We are having good-faith negotiations with them. They have said it is also based on conditions on the ground.

Look, we have succeeded, but it's very fragile. Everybody understands that. Everybody understands that. And if we continue with withdrawals, which we will, because we have succeeded, but not according to a set time that Senator Obama wants, then we'll never have to go back.

If we do what Senator Obama wants to do, we will risk having to come back and risk a wider war and defeat in the first major war since 9/11. And that -- that could be -- have -- is fraught with consequences for the future of the United States of America's security.

WRIGHT: Before we leave the subject, because we have other things that we need to talk about...


WRIGHT: ... I want to give you an opportunity to correct something that you said yesterday.


WRIGHT: You suggested, in terms of the timeline of what happened in Iraq, the Anbar Awakening, when the Sunni tribal leaders turned on Al Qaeda...

MCCAIN: Sure. Sure.

WRIGHT: ... that that happened as a result of the surge, when really it happened about a year before.

MCCAIN: Actually, the surge is a strategy. And Colonel McFarland, who I briefed with in December of 2006, had already started employing that strategy, going into Ramadi, clearing, and holding. And some of the sheiks were asking for our protection. General Petraeus has said, without the additional brigades, then the Anbar Awakening wouldn't have succeeded.

It's very clear. It's more than having [ph] number of troops. It's a strategy. Colonel McFarland was employing that strategy. And that strategy was having some limited success, but it needed additional troops, which were then made available as a result of the increase in troops, which was part of the surge. Anybody that knows anything about Iraq and the situation knows that.

WRIGHT: Charlie Gibson sat down today with Senator Obama in Jerusalem and, as you can imagine, they talked a lot about the Middle East peace process. How would that initiative look different in a McCain administration than it would in an Obama administration?

MCCAIN: Well, I don't know -- again, as with many other cases, Senator Obama one day said he would have an undivided Jerusalem, and then said something else. So it's not clear to me what his policy is.

My policy in support for the state of Israel has been very consistent. I have visited there many, many times. I know the leaders; I know the situation very well. I would be personally engaged in the efforts to bring about a peaceful settlement between the state of Israel and the Palestinian Authority.

This is a highest priority. I've been involved in these issues for many, many years. I know how to move forward with a peaceful resolution of a terrible situation, which is now exacerbated by the threat of Iranian nuclear weapons.

WRIGHT: Just on a simple but symbolic issue, should the U.S. move its embassy to Jerusalem?

MCCAIN: Sure. I've always advocated that.

┌──
VIrF3 | GGA+U | optimized geometry

Crystal system = cubic
Polymorph energy (0 for the lowest one) = 558 meV per atom

Lattice parameters (Å, degrees): 4.2759 4.2759 4.2759 90.00 90.00 90.00
With the nearest neighbours (Å) after each atom.
Positions (direct):
V 0.0000 0.0000 0.0000  12 F 3.02
Ir 0.5000 0.5000 0.5000  6 F 2.14
F 0.0000 0.5000 0.5000  2 Ir 2.14
F 0.5000 0.0000 0.5000  2 Ir 2.14
F 0.5000 0.5000 0.0000  2 Ir 2.14


Entry 1:
Material: DyPuRe
Method: DFT, PBE
State: optimized geometry

Cell lengths 7.648, 7.648, 7.648 Å; angles 24.87, 24.87, 24.87 degrees
Sites, in units of the cell vectors:
Dy  0.000  0.000  0.000
Pu  0.805  0.805  0.805
Re  0.564  0.564  0.564

energy of formation = 1.37 eV/f.u.
symmetry = No. 160
DFT total energy = -10.003 eV/atom
distance to the lowest polymorph of the same formula = 0.288 eV/atom

---

Entry 2:
Material: HfCdCl2
Method: DFT, PBE
State: optimized geometry

Cell lengths 8.330, 8.330, 8.330 Å; angles 131.17, 131.17, 71.54 degrees
Sites, in units of the cell vectors:
Hf  0.000  0.000  0.000
Hf  0.750  0.250  0.500
Cd  0.250  0.750  0.500
Cd  0.500  0.500  0.000
Cl  0.375  0.157  0.282
Cl  0.843  0.125  0.218
Cl  0.875  0.093  0.718
Cl  0.907  0.625  0.782

symmetry = No. 122
DFT total energy = -3.935 eV/atom
distance to the lowest polymorph of the same formula = 0.669 eV/atom
uncorrected formation energy = -0.294 eV per atom

---

Entry 3:
Material: ErThMg
Method: DFT, PBE
State: optimized geometry

Cell lengths 3.540, 3.540, 13.787 Å; angles 90.00, 90.00, 90.00 degrees
Sites, in units of the cell vectors:
Er  0.250  0.250  0.230
Er  0.750  0.750  0.770
Th  0.250  0.250  0.591
Th  0.750  0.750  0.409
Mg  0.250  0.250  0.934
Mg  0.750  0.750  0.066

energy of formation = -0.06 eV/f.u.
symmetry = No. 129
DFT total energy = -4.547 eV/atom
distance to the lowest polymorph of the same formula = 0.000 eV/atom

---

> Among the records above, which one has the lowest distance to the lowest polymorph of the same formula?

ErThMg

---

> The lowest distance to the lowest polymorph of the same formula belongs to which entry?

ErThMg

---

> DFT total energy of number 3 (ErThMg)?

-4.547 eV/atom

---

> Among the records above, which one has the highest DFT total energy?

HfCdCl2
└──

WRIGHT: All right. You've been touring here in the states, had the domestic stage all to yourself, and yet we're talking an awful lot about foreign policy, it seems, every day. You've almost picked a fight on Iraq policy or Afghanistan policy with Senator Obama. Do you kind of feel like you're going to be stuck playing defense from now until November?

MCCAIN: Oh, I haven't picked any fights to start with. Second of all, I have a concrete plan for energy independence. Senator Obama says no to off-shore drilling, no to reprocessing spent nuclear fuel, no tostorage.

I have a positive proposal. People want a little break at the gas pump, a little gas tax holiday. And I'm very happy with where we are, David.

WRIGHT: But I guess what I'm just...

MCCAIN: We are basically tied in the polls today in every national poll or somewhat behind. I'm very happy with where we are. I'm playing offense throughout this thing.

WRIGHT: But I suppose what I meant by the question is that, you know, it seems like the narrative of this campaign is being driven by whatever Senator Obama does and that you're left to kind of react to that.

MCCAIN: It may seem like that to you. It doesn't seem like that to me. We have put forth a positive agenda for the future of the country. We're getting very good crowds. We're doing well in the polls. We -- our campaign contributions are going well enough for us to run a good campaign. So I'm very happy with where we are.

WRIGHT: On gas prices, you've got a new ad out. It seems to suggest that high prices at the pump are Senator Obama's fault. How is that fair?

MCCAIN: If you're not part of the solution, you're part of the problem. He has said no to every proposal that would help this nation emerge from this terrible problem of gas prices. He's against nuclear power. He's against off-shore drilling. He's against the gas-tax holiday. So if you're not part of the solution, you're part of the problem.

WRIGHT: Gas prices dropped this week. Why?

MCCAIN: Because -- one reason is that because the president of the United States announced that we're going to stop the moratorium for off-shore drilling and urging the states to do the same. That sends amessage. That's one of the reasons. There's other reasons.

WRIGHT: We're told that Thursday is going to be a big show-stealing surprise. Are you going to name your vice president?

MCCAIN: We're not talking about it.

WRIGHT: Probably not?

MCCAIN: We're not talking about it.

WRIGHT: So that's not a denial?

MCCAIN: We're not talking about it. That's been my consistent statement throughout, David.

WRIGHT: We'll know when you tell us.

MCCAIN: Thank you.

WRIGHT: All right, thanks so much, Senator. Appreciate it.

For more read ABC News' story HERE.